### Activity
The reader should return all of the notes further below without additions.

### Entries
<<<
[1]
# C5H14N2O

C5H14N2O in the gas phase at a distorted geometry (wB97M-V/def2-TZVPD, the OMol25 dataset).

Summary:
- structure (SMILES) = NCCNCCCO
- orbital gap (eV) = 10.02
- energy above the lowest of the compared OMol25 structures with the same formula, charge and spin (eV) = 3.204
- charge = 0
- E_LUMO (eV) = 0.89

```
22
Properties=species:S:1:pos:R:3:forces:R:3
C -0.8804 1.2907 0.8004 -1.533 -0.741 2.507
N -1.0783 -0.0653 0.2548 -0.277 0.609 -1.573
C -0.9769 0.0122 -1.2562 0.700 -0.179 0.258
C -0.3601 -1.3472 -1.7059 0.940 0.079 -1.155
C 0.9640 -1.7157 -0.9169 -0.943 -0.748 -1.300
O 2.1023 -0.8721 -1.2346 -0.346 -2.073 -0.163
C 0.4940 1.5455 1.4028 2.747 -0.688 -0.882
N 0.9949 0.7208 2.5428 -4.917 1.899 1.596
H -1.6052 1.4233 1.6608 0.537 -0.098 -0.700
H -1.1287 2.1050 0.1248 -0.019 -0.017 -0.425
H -1.9522 -0.6128 0.5005 1.386 1.588 -0.186
H -0.3129 0.8650 -1.6275 -0.406 -1.078 1.075
H -1.9552 0.3407 -1.6775 0.413 -0.865 -0.067
H -0.0433 -1.4062 -2.7997 -0.527 0.595 1.148
H -1.0891 -2.1721 -1.6422 0.207 0.251 0.475
H 1.1322 -2.8173 -1.2073 0.594 1.826 0.131
H 0.7760 -1.7533 0.1435 -0.020 0.352 0.406
H 0.5525 2.5333 1.8634 -0.196 0.366 -0.817
H 1.3145 1.4093 0.6111 -1.137 0.689 0.752
H -0.0089 0.6645 3.0538 3.138 -0.259 -0.448
H 1.1314 -0.2061 2.2818 0.333 -2.055 -0.897
H 1.9294 0.0577 -1.1725 -0.675 0.545 0.265
```
Positions in Å, forces in eV/Å.

Results of the natural (NBO) charge analysis, in e, for atoms 1 through 5: number 1, C, carries -0.24; number 2, N, carries -0.67; number 3, C, carries -0.24; number 4, C, carries -0.44; number 5, C, carries -0.06

=====

[2]
# C5H14N2O2

A 2-piece molecular cluster, C5H14N2O2 overall at a distorted geometry (wB97M-V/def2-TZVPD, the OMol25 dataset).

Summary:
- structure (SMILES) = C/C=C(\N)O.C[C@H](N)O
- orbital gap (eV) = 8.44
- energy above the lowest of the compared OMol25 structures with the same formula, charge and spin (eV) = 2.231
- charge = 0
- E_LUMO (eV) = 0.87

```
23
Properties=species:S:1:pos:R:3:forces:R:3
C -0.9514 1.1449 -0.2732 1.406 -0.656 -0.678
C -1.8229 1.8533 0.7613 0.475 -0.545 0.200
N -0.3976 2.1467 -1.1546 -0.052 0.252 -0.115
O -1.7262 0.1605 -0.9686 -0.148 -0.211 0.011
H -2.5408 0.5657 -1.2952 0.101 0.003 0.078
H -0.1055 0.1186 1.7899 -0.107 -1.654 0.393
H -1.1249 2.6730 -1.6344 0.077 -0.018 0.085
H 0.1890 1.7190 -1.8599 -0.020 -0.040 0.000
H -2.2767 1.1291 1.4354 -0.004 -0.011 0.096
H -1.2320 2.5711 1.3243 -0.021 0.087 0.092
H -2.6413 2.3914 0.2714 0.121 0.007 -0.131
C 1.5065 -0.6484 0.2679 0.832 -1.107 0.730
C 2.3020 -1.2016 -0.8828 -0.095 -0.127 0.289
C 0.6886 -1.4260 1.0329 0.191 0.784 -1.304
N 0.4694 -2.7679 0.8602 -0.236 0.041 0.328
O -0.1368 -0.8707 1.9458 0.241 1.262 0.412
H -0.4081 -3.0989 1.2319 -0.022 0.008 -0.178
H 0.7325 -3.1594 -0.0283 0.082 0.018 0.049
H 1.9186 0.2348 0.7409 -0.382 0.297 -0.077
H 0.0334 0.4901 -0.0076 -2.550 1.684 0.040
H 2.7457 -0.3901 -1.4559 -0.015 -0.022 -0.101
H 3.1151 -1.8522 -0.5507 0.102 -0.058 -0.066
H 1.6637 -1.7830 -1.5510 0.024 0.007 -0.154
```
Positions in Å, forces in eV/Å.

Results of the natural (NBO) charge analysis, in e, for atoms 1 through 5: number 1, C, carries 0.16; number 2, C, carries -0.66; number 3, N, carries -0.85; number 4, O, carries -0.75; number 5, H, carries 0.45

=====

[3]
# C5H14N2O2

C5H14N2O2 in the gas phase at a distorted geometry (wB97M-V/def2-TZVPD, the OMol25 dataset).

Summary:
- structure (SMILES) = COC(N)(N)OC(C)C
- orbital gap (eV) = 10.72
- energy above the lowest of the compared OMol25 structures with the same formula, charge and spin (eV) = 1.478
- charge = 0
- E_LUMO (eV) = 0.99

```
23
Properties=species:S:1:pos:R:3:forces:R:3
C -1.6073 0.1517 -0.5519 0.246 1.966 0.213
C 2.4341 -0.7424 -0.3781 -0.081 0.116 0.125
C -1.2172 -0.8861 -1.5798 0.297 0.195 0.189
C -2.3225 -0.4547 0.6451 0.299 0.313 -0.024
O 1.2126 -0.0954 -0.6759 0.025 0.438 0.304
H -2.2624 0.8960 -1.0153 -0.131 -0.335 -0.022
H 2.8306 -1.0912 -1.3318 0.023 -0.047 0.120
>>>

### Worked solution
[1]
# C5H14N2O

C5H14N2O in the gas phase at a distorted geometry (wB97M-V/def2-TZVPD, the OMol25 dataset).

Summary:
- structure (SMILES) = NCCNCCCO
- orbital gap (eV) = 10.02
- energy above the lowest of the compared OMol25 structures with the same formula, charge and spin (eV) = 3.204
- charge = 0
- E_LUMO (eV) = 0.89

```
22
Properties=species:S:1:pos:R:3:forces:R:3
C -0.8804 1.2907 0.8004 -1.533 -0.741 2.507
N -1.0783 -0.0653 0.2548 -0.277 0.609 -1.573
C -0.9769 0.0122 -1.2562 0.700 -0.179 0.258
C -0.3601 -1.3472 -1.7059 0.940 0.079 -1.155
C 0.9640 -1.7157 -0.9169 -0.943 -0.748 -1.300
O 2.1023 -0.8721 -1.2346 -0.346 -2.073 -0.163
C 0.4940 1.5455 1.4028 2.747 -0.688 -0.882
N 0.9949 0.7208 2.5428 -4.917 1.899 1.596
H -1.6052 1.4233 1.6608 0.537 -0.098 -0.700
H -1.1287 2.1050 0.1248 -0.019 -0.017 -0.425
H -1.9522 -0.6128 0.5005 1.386 1.588 -0.186
H -0.3129 0.8650 -1.6275 -0.406 -1.078 1.075
H -1.9552 0.3407 -1.6775 0.413 -0.865 -0.067
H -0.0433 -1.4062 -2.7997 -0.527 0.595 1.148
H -1.0891 -2.1721 -1.6422 0.207 0.251 0.475
H 1.1322 -2.8173 -1.2073 0.594 1.826 0.131
H 0.7760 -1.7533 0.1435 -0.020 0.352 0.406
H 0.5525 2.5333 1.8634 -0.196 0.366 -0.817
H 1.3145 1.4093 0.6111 -1.137 0.689 0.752
H -0.0089 0.6645 3.0538 3.138 -0.259 -0.448
H 1.1314 -0.2061 2.2818 0.333 -2.055 -0.897
H 1.9294 0.0577 -1.1725 -0.675 0.545 0.265
```
Positions in Å, forces in eV/Å.

Results of the natural (NBO) charge analysis, in e, for atoms 1 through 5: number 1, C, carries -0.24; number 2, N, carries -0.67; number 3, C, carries -0.24; number 4, C, carries -0.44; number 5, C, carries -0.06

=====

[2]
# C5H14N2O2

A 2-piece molecular cluster, C5H14N2O2 overall at a distorted geometry (wB97M-V/def2-TZVPD, the OMol25 dataset).

Summary:
- structure (SMILES) = C/C=C(\N)O.C[C@H](N)O
- orbital gap (eV) = 8.44
- energy above the lowest of the compared OMol25 structures with the same formula, charge and spin (eV) = 2.231
- charge = 0
- E_LUMO (eV) = 0.87

```
23
Properties=species:S:1:pos:R:3:forces:R:3
C -0.9514 1.1449 -0.2732 1.406 -0.656 -0.678
C -1.8229 1.8533 0.7613 0.475 -0.545 0.200
N -0.3976 2.1467 -1.1546 -0.052 0.252 -0.115
O -1.7262 0.1605 -0.9686 -0.148 -0.211 0.011
H -2.5408 0.5657 -1.2952 0.101 0.003 0.078
H -0.1055 0.1186 1.7899 -0.107 -1.654 0.393
H -1.1249 2.6730 -1.6344 0.077 -0.018 0.085
H 0.1890 1.7190 -1.8599 -0.020 -0.040 0.000
H -2.2767 1.1291 1.4354 -0.004 -0.011 0.096
H -1.2320 2.5711 1.3243 -0.021 0.087 0.092
H -2.6413 2.3914 0.2714 0.121 0.007 -0.131
C 1.5065 -0.6484 0.2679 0.832 -1.107 0.730
C 2.3020 -1.2016 -0.8828 -0.095 -0.127 0.289
C 0.6886 -1.4260 1.0329 0.191 0.784 -1.304
N 0.4694 -2.7679 0.8602 -0.236 0.041 0.328
O -0.1368 -0.8707 1.9458 0.241 1.262 0.412
H -0.4081 -3.0989 1.2319 -0.022 0.008 -0.178
H 0.7325 -3.1594 -0.0283 0.082 0.018 0.049
H 1.9186 0.2348 0.7409 -0.382 0.297 -0.077
H 0.0334 0.4901 -0.0076 -2.550 1.684 0.040
H 2.7457 -0.3901 -1.4559 -0.015 -0.022 -0.101
H 3.1151 -1.8522 -0.5507 0.102 -0.058 -0.066
H 1.6637 -1.7830 -1.5510 0.024 0.007 -0.154
```
Positions in Å, forces in eV/Å.

Results of the natural (NBO) charge analysis, in e, for atoms 1 through 5: number 1, C, carries 0.16; number 2, C, carries -0.66; number 3, N, carries -0.85; number 4, O, carries -0.75; number 5, H, carries 0.45

=====

[3]
# C5H14N2O2

C5H14N2O2 in the gas phase at a distorted geometry (wB97M-V/def2-TZVPD, the OMol25 dataset).

Summary:
- structure (SMILES) = COC(N)(N)OC(C)C
- orbital gap (eV) = 10.72
- energy above the lowest of the compared OMol25 structures with the same formula, charge and spin (eV) = 1.478
- charge = 0
- E_LUMO (eV) = 0.99

```
23
Properties=species:S:1:pos:R:3:forces:R:3
C -1.6073 0.1517 -0.5519 0.246 1.966 0.213
C 2.4341 -0.7424 -0.3781 -0.081 0.116 0.125
C -1.2172 -0.8861 -1.5798 0.297 0.195 0.189
C -2.3225 -0.4547 0.6451 0.299 0.313 -0.024
O 1.2126 -0.0954 -0.6759 0.025 0.438 0.304
H -2.2624 0.8960 -1.0153 -0.131 -0.335 -0.022
H 2.8306 -1.0912 -1.3318 0.023 -0.047 0.120